(Contents)
- - -
(1)
A plane-wave DFT calculation with PBE was carried out for a geometry-optimized La2TiIn structure.

Output
total DFT energy (no corrections): -0.1782 hartree per atom
energy above the lowest structure with this stoichiometry: 0.242 eV per atom
theoretical density: 6.59 Mg/m³
space group: R-3m, No. 166
E_form: 0.27 eV per atom

The structure in POSCAR format:
```
La2TiIn
1.0
3.299 0.000 0.000
1.649 2.857 0.000
1.649 0.952 11.774
In Ti La
1 1 2
Cartesian
3.299 1.904 5.887 In
0.000 0.000 0.000 Ti
1.649 0.952 8.833 La
4.948 2.857 2.941 La
```

=====

(2)
A plane-wave DFT calculation with PBE was carried out for a geometry-optimized Re3SiIr structure.

Output
total DFT energy (no corrections): -0.2920 hartree per atom
energy above the lowest structure with this stoichiometry: 1.070 eV per atom
theoretical density: 12.28 Mg/m³
space group: Pm-3m, No. 221
energy relative to the elements, uncorrected: 2.38 eV/atom

The structure in POSCAR format:
```
Re3SiIr
1.0
-3.058 -2.922 -2.102
2.632 -3.696 1.309
-2.455 -0.324 4.021
Re Si Ir
3 1 1
Cartesian
1.316 -1.848 0.655 Re
-1.228 -0.162 2.011 Re
-1.529 -1.461 -1.051 Re
-1.440 -3.471 1.614 Si
0.000 0.000 0.000 Ir
```

=====

(3)
A plane-wave DFT calculation with PBE was carried out for a geometry-optimized LiLaAl structure.

Output
total DFT energy (no corrections): -0.1333 hartree per atom
energy above the lowest structure with this stoichiometry: 0.138 eV per atom
theoretical density: 3.71 Mg/m³
space group: Cmmm, No. 65
E_form: -0.10 eV per atom

The structure in POSCAR format:
```
LiLaAl
1.0
3.329 0.000 0.000
0.000 5.614 0.000
0.000 -2.801 8.277
Li La Al
2 2 2
Cartesian
2.868 0.666 2.047 Li
2.868 3.632 2.046 Li
1.203 2.152 4.809 La
1.203 -0.653 7.560 La
2.868 2.154 7.722 Al
2.868 -0.656 4.647 Al
```

=====

(4)
A plane-wave DFT calculation with PBE was carried out for a geometry-optimized SiSbPb2Au6 structure.

Output
total DFT energy (no corrections): -0.1361 hartree per atom
theoretical density: 12.29 Mg/m³
space group: Pmmn, No. 59
energy relative to the elements, uncorrected: -0.04 eV/atom

The structure in POSCAR format:
```
SiSbPb2Au6
1.0
5.839 0.000 0.000
0.000 9.138 0.000
0.000 0.000 8.846
Si Sb Pb Au
2 2 4 12
Cartesian
2.920 2.211 4.423 Si
0.000 6.927 0.000 Si
0.000 6.493 4.423 Sb
2.920 2.645 0.000 Sb
2.920 6.662 2.210 Pb
0.000 2.476 6.632 Pb
2.920 6.662 6.636 Pb
0.000 2.476 2.213 Pb
2.920 1.039 2.194 Au
2.920 1.039 6.652 Au
0.000 8.099 2.229 Au
0.000 8.099 6.617 Au
1.396 0.183 4.423 Au
4.443 0.183 4.423 Au
1.492 4.193 4.423 Au
4.347 4.193 4.423 Au
4.412 4.945 0.000 Au
1.428 4.945 0.000 Au
1.523 8.955 0.000 Au
4.316 8.955 0.000 Au
```

=====

(5)
A plane-wave DFT calculation with PBE was carried out for a geometry-optimized K2Sn2As2P structure.

Output
total DFT energy (no corrections): -0.1374 hartree per atom
theoretical density: 3.28 Mg/m³
space group: P-1, No. 2
E_form: -0.18 eV per atom

The structure in POSCAR format:
```
K2Sn2As2P
1.0
-2.766 -4.177 0.763
0.092 -6.402 -5.107
7.069 -3.810 0.670
K Sn As P
2 2 2 1
Cartesian
4.147 -11.100 -3.485 K
0.247 -3.289 -0.189 K
3.379 -8.262 -0.910 Sn
1.016 -6.127 -2.764 Sn
0.587 -8.194 -0.919 As
3.808 -6.195 -2.755 As
0.000 0.000 0.000 P
```

=====

(6)
A plane-wave DFT calculation with PBE was carried out for a geometry-optimized CrIn2Rh structure.

Output
total DFT energy (no corrections): -0.2059 hartree per atom
energy above the lowest structure with this stoichiometry: 0.058 eV per atom
theoretical density: 9.02 Mg/m³
space group: P4/mmm, No. 123
E_form: 0.01 eV per atom

The structure in POSCAR format:
```
CrIn2Rh
1.0
-0.348 3.272 -2.812
0.488 -2.773 -3.287
-3.742 -0.507 -0.128
Cr In Rh
1 2 1
Cartesian
-1.627 -1.640 -1.708 Cr
0.000 0.000 0.000 In
0.070 0.250 -3.050 In
-2.045 1.382 -1.470 Rh
```

=====

(7)
A plane-wave DFT calculation with PBE was carried out for a geometry-optimized CaAl2GaAg4 structure.

Output
total DFT energy (no corrections): -0.1137 hartree per atom
theoretical density: 6.27 Mg/m³
- - -

(What to do)
Your job: echo only the last part of the data further above, starting with the line that has "(1)".

(Solution)
(1)
A plane-wave DFT calculation with PBE was carried out for a geometry-optimized La2TiIn structure.

Output
total DFT energy (no corrections): -0.1782 hartree per atom
energy above the lowest structure with this stoichiometry: 0.242 eV per atom
theoretical density: 6.59 Mg/m³
space group: R-3m, No. 166
E_form: 0.27 eV per atom

The structure in POSCAR format:
```
La2TiIn
1.0
3.299 0.000 0.000
1.649 2.857 0.000
1.649 0.952 11.774
In Ti La
1 1 2
Cartesian
3.299 1.904 5.887 In
0.000 0.000 0.000 Ti
1.649 0.952 8.833 La
4.948 2.857 2.941 La
```

=====

(2)
A plane-wave DFT calculation with PBE was carried out for a geometry-optimized Re3SiIr structure.

Output
total DFT energy (no corrections): -0.2920 hartree per atom
energy above the lowest structure with this stoichiometry: 1.070 eV per atom
theoretical density: 12.28 Mg/m³
space group: Pm-3m, No. 221
energy relative to the elements, uncorrected: 2.38 eV/atom

The structure in POSCAR format:
```
Re3SiIr
1.0
-3.058 -2.922 -2.102
2.632 -3.696 1.309
-2.455 -0.324 4.021
Re Si Ir
3 1 1
Cartesian
1.316 -1.848 0.655 Re
-1.228 -0.162 2.011 Re
-1.529 -1.461 -1.051 Re
-1.440 -3.471 1.614 Si
0.000 0.000 0.000 Ir
```

=====

(3)
A plane-wave DFT calculation with PBE was carried out for a geometry-optimized LiLaAl structure.

Output
total DFT energy (no corrections): -0.1333 hartree per atom
energy above the lowest structure with this stoichiometry: 0.138 eV per atom
theoretical density: 3.71 Mg/m³
space group: Cmmm, No. 65
E_form: -0.10 eV per atom

The structure in POSCAR format:
```
LiLaAl
1.0
3.329 0.000 0.000
0.000 5.614 0.000
0.000 -2.801 8.277
Li La Al
2 2 2
Cartesian
2.868 0.666 2.047 Li
2.868 3.632 2.046 Li
1.203 2.152 4.809 La
1.203 -0.653 7.560 La
2.868 2.154 7.722 Al
2.868 -0.656 4.647 Al
```

=====

(4)
A plane-wave DFT calculation with PBE was carried out for a geometry-optimized SiSbPb2Au6 structure.

Output
total DFT energy (no corrections): -0.1361 hartree per atom
theoretical density: 12.29 Mg/m³
space group: Pmmn, No. 59
energy relative to the elements, uncorrected: -0.04 eV/atom

The structure in POSCAR format:
```
SiSbPb2Au6
1.0
5.839 0.000 0.000
0.000 9.138 0.000
0.000 0.000 8.846
Si Sb Pb Au
2 2 4 12
Cartesian
2.920 2.211 4.423 Si
0.000 6.927 0.000 Si
0.000 6.493 4.423 Sb
2.920 2.645 0.000 Sb
2.920 6.662 2.210 Pb
0.000 2.476 6.632 Pb
2.920 6.662 6.636 Pb
0.000 2.476 2.213 Pb
2.920 1.039 2.194 Au
2.920 1.039 6.652 Au
0.000 8.099 2.229 Au
0.000 8.099 6.617 Au
1.396 0.183 4.423 Au
4.443 0.183 4.423 Au
1.492 4.193 4.423 Au
4.347 4.193 4.423 Au
4.412 4.945 0.000 Au
1.428 4.945 0.000 Au
1.523 8.955 0.000 Au
4.316 8.955 0.000 Au
```

=====

(5)
A plane-wave DFT calculation with PBE was carried out for a geometry-optimized K2Sn2As2P structure.

Output
total DFT energy (no corrections): -0.1374 hartree per atom
theoretical density: 3.28 Mg/m³
space group: P-1, No. 2
E_form: -0.18 eV per atom

The structure in POSCAR format:
```
K2Sn2As2P
1.0
-2.766 -4.177 0.763
0.092 -6.402 -5.107
7.069 -3.810 0.670
K Sn As P
2 2 2 1
Cartesian
4.147 -11.100 -3.485 K
0.247 -3.289 -0.189 K
3.379 -8.262 -0.910 Sn
1.016 -6.127 -2.764 Sn
0.587 -8.194 -0.919 As
3.808 -6.195 -2.755 As
0.000 0.000 0.000 P
```

=====

(6)
A plane-wave DFT calculation with PBE was carried out for a geometry-optimized CrIn2Rh structure.

Output
total DFT energy (no corrections): -0.2059 hartree per atom
energy above the lowest structure with this stoichiometry: 0.058 eV per atom
theoretical density: 9.02 Mg/m³
space group: P4/mmm, No. 123
E_form: 0.01 eV per atom

The structure in POSCAR format:
```
CrIn2Rh
1.0
-0.348 3.272 -2.812
0.488 -2.773 -3.287
-3.742 -0.507 -0.128
Cr In Rh
1 2 1
Cartesian
-1.627 -1.640 -1.708 Cr
0.000 0.000 0.000 In
0.070 0.250 -3.050 In
-2.045 1.382 -1.470 Rh
```

=====

(7)
A plane-wave DFT calculation with PBE was carried out for a geometry-optimized CaAl2GaAg4 structure.

Output
total DFT energy (no corrections): -0.1137 hartree per atom
theoretical density: 6.27 Mg/m³